The internals of the QML engine. Part 2: Bindings
- Transfer
- Tutorial
This post is a continuation of this ( translated ) article.
In a previous post, we looked at how the QML engine loads files. Let me remind you that first the QML files are parsed, then compiled into an intermediate byte code, and finally following the byte code instruction, a C ++ object is created for each event in each QML file. For example, we saw that when a QML file contains a Text element, the engine creates a C ++ instance of the QQuickText class.
In fact, downloading files is almost everything the QML engine does. After downloading, it stops interfering with the application process. Event handling and rendering elements in Runtime rests entirely with C ++. For example, a TextInput element handles events likeQQuickTextInput :: keyPressEvent () and updates QQuickTextInput :: updatePaintNode () , without the participation of the QML engine.
But there are two important things that QML engine still affects runtime: Related signal handlers ( Bound signal the handlers ) and update the binding properties ( property a binding ). Related signal handlers are things like the onClicked handler for MouseArea . Today we will look at bindings.
This example contains two types of property assignment:
If we set the parameter QML_COMPILER_DUMP = 1, then we will see that the binders are created by the STORE_COMPILED_BINDING statement:
Compiled bindings, this is actually an optimized option. Let's start by taking a look at the normal bindings created by the STORE_BINDING statement. The QQmlVME :: run () function creates a QQmlBinding object , to which it passes a string of the form
That's right, every binding is a JavaScript function. Part of the function “function $ text ()” is added by the QML compiler, so since V8 , which is the JML engine of QML, can, as you might guess, only execute JS code. The string function is then compiled into a v8 :: Function object, by the v8 compiler. The v8 engine, due to the built-in JIT compiler , creates native code. It does not execute the created v8 :: Function object, but saves it for the future.
Total: When executing the STORE_BINDING instruction, a QQmlBinding object is created, which compiles the function passed to it as a string into a v8 :: Function object using the built-in V8 JS engine for this.
At some point, our binding will need to be performed, which means that V8 will have to perform the function passed to it with the binding body and return the result of the assignment to assign it to the target property. This call occurs primarily at the end of the creation phase, the QQmlVME :: complete () function sequentially calls the update () method for each binding. In our case, the QQmlBinding :: update () function is called . The update () method simply executes the contents of the v8 :: Function object and writes the result of the execution to the text property of our rectangle.
But hey, how does V8 learn about the meaning of the variables parent.width and parent.height? Indeed, how does he learn about the parent? Answer: V8 has no idea about any objects of the QObject type represented in the QML file, nor about the composition of their properties. When a V8 encounters an object unknown to it or an unknown property of an object, it asks a question to the wrapper object of the QML engine, which finds a suitable object or property and passes it (or its value) back to V8. Let's see how the width property of the QQuickItem object is accessed using this dump as an example:
We see that the wrapper in the qv8qobjectwrapper.cpp file calls the QObject :: qt_metacall (QMetaObject :: ReadProperty, ...) function to get the value of the required property. Wrapper (Wrapper Object) was called from compiled V8 code stored in V8 :: Function. Unfortunately, the generated machine code does not have a call stack, so GDB is not able to show what’s going on for ?? . I deceived you a little and showed above two different call stacks, which explains a little the gap in line numbering.
Once again: V8 uses an object wrapper to get property values. In the same way, it uses a context wrapper to search for the objects themselves. for example, the parent object that we are referring to during the binding.
So, the binding is done by running the V8 :: Function code. The V8 engine gains access to unknown objects and properties by calling wrappers from Qt. The result of V8 :: Function is written to the target property.
Well, we now know how the text property got its original meaning. What about updating it? How does the QML engine know that this property needs to be updated when the height or width of the parent rectangle changes?
The answer to this question lives in the same object wrapper, which, as you recall, is called when V8 needs to access the property. Our wrapper does a little more than just return the value of the property: it records all the properties that were requested to access. Essentially, when accessing a property occurs, the wrapper calls the snap-capture function that is currently running. In our example, this is QQmlJavaScriptExpression :: GuardCapture :: captureProperty () (QQmlBinding is a subclass of the QQmlJavaScriptExpression class).
In the capture function, the binding is simply simply attached to the signal of the NOTIFY type of the property that was requested. Now, when a NOTIFY signal is called, the binding slot connected to it will be called and the binding itself will be restarted. If you have never heard of a NOTIFY signal, do not worry, its logic is simple: When a property is defined using the Q_PROPERTY macro, then a NOTIFY signal will always be present at this place, which will always be sent when this property changes.
For example, here is the declaration of the width property in the QQuickItem class:
In our scenario: when the width property is accessed for the first time, during the first launch of our binding, the property capture function will connect the widthChanged () signal and the launch slot of our binding. Now, when the QQuickItem object emits a widthChanged () signal while the application is running, all the bindings attached to it will be called and restarted.
It is very important to have a NOTIFY signal in self-defined properties and always send it when our property changes. If you forget to do this, the binding will not be restarted, and accordingly, the binding of the property will not work correctly. On the other hand, if a NOTIFY signal is sent at the moment when the property has not been changed, the binding will work idle.
To summarize: When accessing a property, the wrapper object calls the capture function from the binding, which attaches this binding to the NOTIFY signal of the property, so that when the property changes, the binding is performed again ...
Today we looked at how bindings work in QML. Briefly: binding is a JS function that is executed every time the properties involved in it change.
I hope this article was interesting to you, for example, it was very interesting for me to study the internal logic of the bindings.
In our next article, we will consider various types of bindings. All that we examined today is a basic binding, or QQmlBinding, but we know that there are other types, such as copied bindings. We will solve their secret in the near future, stay tuned!
In a previous post, we looked at how the QML engine loads files. Let me remind you that first the QML files are parsed, then compiled into an intermediate byte code, and finally following the byte code instruction, a C ++ object is created for each event in each QML file. For example, we saw that when a QML file contains a Text element, the engine creates a C ++ instance of the QQuickText class.
In fact, downloading files is almost everything the QML engine does. After downloading, it stops interfering with the application process. Event handling and rendering elements in Runtime rests entirely with C ++. For example, a TextInput element handles events like
But there are two important things that QML engine still affects runtime: Related signal handlers ( Bound signal the handlers ) and update the binding properties ( property a binding ). Related signal handlers are things like the onClicked handler for MouseArea . Today we will look at bindings.
import QtQuick 2.0
Rectangle {
width: 300
height: 300
color: "lightsteelblue"
Below is a relaxed KOsO3 crystal, with properties calculated at the GGA-PBE level.

Cell: 3.9315 3.9315 3.9315 Å, 90.00 90.00 90.00°
With the nearest neighbours (Å) after each atom.
Space group Pm-3m (No. 221)
Symmetry-distinct sites (fractional):
K: 0.0000 0.0000 0.0000 [1 per cell]  12 O 2.78
Os: 0.5000 0.5000 0.5000 [1 per cell]  6 O 1.97
O: 0.0000 0.5000 0.5000 [3 per cell]  2 Os 1.97

* uncorrected formation energy: -6.01 eV/f.u.
* size of the total moment: 0.00 μB per formula unit
* crystal system: cubic

***

Below is a relaxed ScTl2P crystal, with properties calculated at the GGA-PBE level.

Cell: 4.1143 4.1143 11.1072 Å, 90.00 90.00 90.00°
With the nearest neighbours (Å) after each atom.
Space group I4/mmm (No. 139)
Symmetry-distinct sites (fractional):
Sc: 0.0000 0.0000 0.0000 [2 per cell]  4 P 2.91
Tl: 0.0000 0.5000 0.2500 [4 per cell]  4 Tl 2.91
P: 0.0000 0.0000 0.5000 [2 per cell]  4 Sc 2.91

* offset from the most stable computed form: 311.6 meV per atom
* size of the total moment: 0.00 μB per formula unit
* DFT formation energy: -0.14 eV per atom
* crystal system: tetragonal

***

Below is a relaxed PrHoCuAg crystal, with properties calculated at the GGA-PBE level.

Cell: 7.2721 7.2721 7.2721 Å, 90.00 90.00 90.00°
With the nearest neighbours (Å) after each atom.
Space group F-43m (No. 216)
Symmetry-distinct sites (fractional):
Pr: 0.0000 0.0000 0.0000 [4 per cell]  4 Ag 3.15, 4 Cu 3.15
Ho: 0.0000 0.0000 0.5000 [4 per cell]  4 Cu 3.15, 4 Ag 3.15
Cu: 0.2500 0.2500 0.2500 [4 per cell]  4 Pr 3.15, 4 Ho 3.15
Ag: 0.2500 0.2500 0.7500 [4 per cell]  4 Ho 3.15, 4 Pr 3.15

* offset from the most stable computed form: 41.5 meV per atom
* size of the total moment: 0.00 μB per formula unit
* DFT formation energy: -0.20 eV per atom
* crystal system: cubic

***

Question: What is the size of the total moment in the second record?
Answer: 0.00 μB per formula unit

----------

[1]
Here is an optimized crystal structure of KZnTe2 from Alexandria. Energies are from PBE-GGA.

Computed properties:
VASP energy = -2.6461 eV/atom
Space-group type = Cm (8)

a = 7.373 Å, b = 7.373 Å, c = 6.234 Å
α = 100.46°, β = 100.46°, γ = 28.96°
Sites, in units of the cell vectors:
Zn 0.557 0.557 0.438
K 0.252 0.252 0.196
Te 0.719 0.719 0.684
Te 0.972 0.972 0.182

=====

[2]
Here is an optimized crystal structure of Ca2MgCd3Ag12 from Alexandria. Energies are from PBE-GGA.

Computed properties:
Energy of formation = -0.046 eV/atom
Space-group type = R-3m (166)

a = 7.290 Å, b = 7.290 Å, c = 7.290 Å
α = 83.01°, β = 83.01°, γ = 83.01°
Sites, in units of the cell vectors:
Ca 0.702 0.702 0.702
Ca 0.298 0.298 0.298
Ag 0.414 0.414 0.872
Ag 0.717 0.198 0.198
Ag 0.283 0.802 0.802
Ag 0.802 0.802 0.283
Ag 0.802 0.283 0.802
Ag 0.198 0.717 0.198
Ag 0.128 0.586 0.586
Ag 0.586 0.128 0.586
Ag 0.872 0.414 0.414
Ag 0.586 0.586 0.128
Ag 0.198 0.198 0.717
Ag 0.414 0.872 0.414
Cd 0.500 0.000 0.000
Cd 0.000 0.000 0.500
Cd 0.000 0.500 0.000
Mg 0.000 0.000 0.000

=====

[3]
Text {
anchors.centerIn: parent
text: "Window Area: " + (parent.width * parent.height)
This example contains two types of property assignment:
- A simple property assignment, such as assigning a value of 300 to the width property of a Rectangle element of the C ++ class QQuickRectangle. In this case, VME simply executes the STORE_DOUBLE bytecode instruction when creating this component. VME just calls the function QMetaObject :: metacall (QMetaObject :: WriteProperty, ...) which ultimately ends with a call to QQuickRectangle :: SetWidth () . After this assignment. The QML engine just forgets about this assignment.
- A binding assignment, such as in the example above, “Window Area:” + (parent.width * parent.height) to the text property or parent to the centerIn property . Thanks to the magic of bindings, the text property will automatically update whenever the height or width of the Rectangle element changes. How it works? No magic at all, read on to find the answer.
Create binding
If we set the parameter QML_COMPILER_DUMP = 1, then we will see that the binders are created by the STORE_COMPILED_BINDING statement:
10 FETCH 19
Compiled bindings, this is actually an optimized option. Let's start by taking a look at the normal bindings created by the STORE_BINDING statement. The QQmlVME :: run () function creates a QQmlBinding object , to which it passes a string of the form
function $text() { return “Window Area: ” + (parent.width * parent.height) }
which is a JS expression. That's right, every binding is a JavaScript function. Part of the function “function $ text ()” is added by the QML compiler, so since V8 , which is the JML engine of QML, can, as you might guess, only execute JS code. The string function is then compiled into a v8 :: Function object, by the v8 compiler. The v8 engine, due to the built-in JIT compiler , creates native code. It does not execute the created v8 :: Function object, but saves it for the future.
Total: When executing the STORE_BINDING instruction, a QQmlBinding object is created, which compiles the function passed to it as a string into a v8 :: Function object using the built-in V8 JS engine for this.
At some point, our binding will need to be performed, which means that V8 will have to perform the function passed to it with the binding body and return the result of the assignment to assign it to the target property. This call occurs primarily at the end of the creation phase, the QQmlVME :: complete () function sequentially calls the update () method for each binding. In our case, the QQmlBinding :: update () function is called . The update () method simply executes the contents of the v8 :: Function object and writes the result of the execution to the text property of our rectangle.
But hey, how does V8 learn about the meaning of the variables parent.width and parent.height? Indeed, how does he learn about the parent? Answer: V8 has no idea about any objects of the QObject type represented in the QML file, nor about the composition of their properties. When a V8 encounters an object unknown to it or an unknown property of an object, it asks a question to the wrapper object of the QML engine, which finds a suitable object or property and passes it (or its value) back to V8. Let's see how the width property of the QQuickItem object is accessed using this dump as an example:
#0 QQuickItem::width (this=0x6d8580) at items/qquickitem.cpp:4711
#1 0x00007ffff78e592d in QQuickItem::qt_metacall (this=0x6d8580, _c=QMetaObject::ReadProperty, _id=8, _a=0x7fffffffc270) at .moc/debug-shared/moc_qquickitem.cpp:675
#2 0x00007ffff7a61689 in QQuickRectangle::qt_metacall (this=0x6d8580, _c=QMetaObject::ReadProperty, _id=9, _a=0x7fffffffc270) at .moc/debug-shared/moc_qquickrectangle_p.cpp:526
#3 0x00007ffff7406dc3 in ReadAccessor::Direct (object=0x6d8580, property=..., output=0x7fffffffc2c8, n=0x0) at qml/v8/qv8qobjectwrapper.cpp:243
#4 0x00007ffff7406330 in GenericValueGetter (info=...) at qml/v8/qv8qobjectwrapper.cpp:296
#5 0x00007ffff49bf16a in v8::internal::JSObject::GetPropertyWithCallback (this=0x363c64f4ccb1, receiver=0x363c64f4ccb1, structure=0x1311a45651a9, name=0x3c3c6811b7f9) at ../3rdparty/v8/src/objects.cc:198
#6 0x00007ffff49c11c3 in v8::internal::Object::GetProperty (this=0x363c64f4ccb1, receiver=0x363c64f4ccb1, result=0x7fffffffc570, name=0x3c3c6811b7f9, attributes=0x7fffffffc5e8)
at ../3rdparty/v8/src/objects.cc:627
#7 0x00007ffff495c0f1 in v8::internal::LoadIC::Load (this=0x7fffffffc660, state=v8::internal::UNINITIALIZED, object=..., name=...) at ../3rdparty/v8/src/ic.cc:933
#8 0x00007ffff4960ff5 in v8::internal::LoadIC_Miss (args=..., isolate=0x603070) at ../3rdparty/v8/src/ic.cc:2001
#9 0x000034b88ae0618e in ?? ()
[more ?? frames from the JIT'ed v8::Function code]
#1 0x00007ffff481c3ef in v8::Function::Call (this=0x694fe0, recv=..., argc=0, argv=0x0) at ../3rdparty/v8/src/api.cc:3709
#2 0x00007ffff7379afd in QQmlJavaScriptExpression::evaluate (this=0x6d7430, context=0x6d8440, function=..., isUndefined=0x7fffffffcd23) at qml/qqmljavascriptexpression.cpp:171
#3 0x00007ffff72b7b85 in QQmlBinding::update (this=0x6d7410, flags=...) at qml/qqmlbinding.cpp:285
#4 0x00007ffff72b8237 in QQmlBinding::setEnabled (this=0x6d7410, e=true, flags=...) at qml/qqmlbinding.cpp:389
#5 0x00007ffff72b8173 in QQmlBinding::setEnabled (This=0x6d7448, e=true, f=...) at qml/qqmlbinding.cpp:370
#6 0x00007ffff72c15fb in QQmlAbstractBinding::setEnabled (this=0x6d7448, e=true, f=...) a /../../qtbase/include/QtQml/5.0.0/QtQml/private/../../../../../../qtdeclarative/src/qml/qml/qqmlabstractbinding_p.h:98
#7 0x00007ffff72dcb14 in QQmlVME::complete (this=0x698930, interrupt=...) at qml/qqmlvme.cpp:1292
#8 0x00007ffff72c72ae in QQmlComponentPrivate::complete (enginePriv=0x650560, state=0x698930) at qml/qqmlcomponent.cpp:919
#9 0x00007ffff72c739b in QQmlComponentPrivate::completeCreate (this=0x698890) at qml/qqmlcomponent.cpp:954
#10 0x00007ffff72c734c in QQmlComponent::completeCreate (this=0x698750) at qml/qqmlcomponent.cpp:947
#11 0x00007ffff72c6b2f in QQmlComponent::create (this=0x698750, context=0x68ea30) at qml/qqmlcomponent.cpp:781
#12 0x00007ffff79d4dce in QQuickView::continueExecute (this=0x7fffffffd2f0) at items/qquickview.cpp:445
#13 0x00007ffff79d3fca in QQuickViewPrivate::execute (this=0x64dc10) at items/qquickview.cpp:106
#14 0x00007ffff79d4400 in QQuickView::setSource (this=0x7fffffffd2f0 at items/qquickview.cpp:243
#15 0x0000000000400d70 in main ()
We see that the wrapper in the qv8qobjectwrapper.cpp file calls the QObject :: qt_metacall (QMetaObject :: ReadProperty, ...) function to get the value of the required property. Wrapper (Wrapper Object) was called from compiled V8 code stored in V8 :: Function. Unfortunately, the generated machine code does not have a call stack, so GDB is not able to show what’s going on for ?? . I deceived you a little and showed above two different call stacks, which explains a little the gap in line numbering.
Once again: V8 uses an object wrapper to get property values. In the same way, it uses a context wrapper to search for the objects themselves. for example, the parent object that we are referring to during the binding.
So, the binding is done by running the V8 :: Function code. The V8 engine gains access to unknown objects and properties by calling wrappers from Qt. The result of V8 :: Function is written to the target property.
Binding Update
Well, we now know how the text property got its original meaning. What about updating it? How does the QML engine know that this property needs to be updated when the height or width of the parent rectangle changes?
The answer to this question lives in the same object wrapper, which, as you recall, is called when V8 needs to access the property. Our wrapper does a little more than just return the value of the property: it records all the properties that were requested to access. Essentially, when accessing a property occurs, the wrapper calls the snap-capture function that is currently running. In our example, this is QQmlJavaScriptExpression :: GuardCapture :: captureProperty () (QQmlBinding is a subclass of the QQmlJavaScriptExpression class).
In the capture function, the binding is simply simply attached to the signal of the NOTIFY type of the property that was requested. Now, when a NOTIFY signal is called, the binding slot connected to it will be called and the binding itself will be restarted. If you have never heard of a NOTIFY signal, do not worry, its logic is simple: When a property is defined using the Q_PROPERTY macro, then a NOTIFY signal will always be present at this place, which will always be sent when this property changes.
For example, here is the declaration of the width property in the QQuickItem class:
Q_PROPERTY(qreal width READ width WRITE setWidth NOTIFY widthChanged)
In our scenario: when the width property is accessed for the first time, during the first launch of our binding, the property capture function will connect the widthChanged () signal and the launch slot of our binding. Now, when the QQuickItem object emits a widthChanged () signal while the application is running, all the bindings attached to it will be called and restarted.
It is very important to have a NOTIFY signal in self-defined properties and always send it when our property changes. If you forget to do this, the binding will not be restarted, and accordingly, the binding of the property will not work correctly. On the other hand, if a NOTIFY signal is sent at the moment when the property has not been changed, the binding will work idle.
To summarize: When accessing a property, the wrapper object calls the capture function from the binding, which attaches this binding to the NOTIFY signal of the property, so that when the property changes, the binding is performed again ...
Today we looked at how bindings work in QML. Briefly: binding is a JS function that is executed every time the properties involved in it change.
I hope this article was interesting to you, for example, it was very interesting for me to study the internal logic of the bindings.
In our next article, we will consider various types of bindings. All that we examined today is a basic binding, or QQmlBinding, but we know that there are other types, such as copied bindings. We will solve their secret in the near future, stay tuned!